Child sexual abuse is not even acknowledged as a reality by many, say trainers from Arpan who are trying to create awareness about this taboo subject
In India, talking about sex and sexuality is still a taboo. Child sexual abuse (CSA) is not even acknowledged as a reality. People were shocked when Pooja Taparia started creating awareness about the issue. She is the founder of the NGO, Arpan, which started work in this area in 2007. It came into being with a team of just two or three people who started conducting awareness sessions, training various stakeholders like children, parents, teachers, civil society groups, clubs, etc.
Going back to her own early work in this field, Pooja recalls, “The inspiration to start working on the issue came when I watched a play on CSA and was deeply moved by it. The play depicted the trauma faced by a survivor of sexual abuse as she carries on with her life, makes decisions, develops relationships and the fears and crisis she experiences in her everyday life. The play shook me from the core. The understanding that children are violated (the violation of not only child’s body but the trust implicit in care-giving relationship) and the revelation that child sexual abuse can be psychologically traumatic and disturb a person’s everyday experience of self and others if not supported and healed at the appropriate time, unsettled me. So I decided to do something about it.”
Arpan evolved an effective two-pronged strategy—prevention and healing—to reduce the occurrence of CSA and heal its psychological, social, sexual and physical consequences. Its preventative programme is called ‘Personal Safety Education’ (PSE) and is the core programme. PSE is conducted in private, semi-private and government schools and institutions. The programme aims to empower children by imparting age-appropriate knowledge, information and skills related to personal safety and by building their self-esteem to prevent and protect them from sexual abuse. The programme also includes awareness and skill enhancement of adults like parents, teachers and institutional caretakers who are the primary stakeholders in a child’s life. These stakeholders are empowered with adequate information and skills about CSA so that they can create strong safety and support networks around children in their respective environments.
The second part of Arpan’s work is to provide psycho-therapeutic support to children who report cases of attempted and continued sexual abuse. Qualified psychologists work with survivors of CSA and their families to heal the trauma and impact they faced. “We work at various levels to help restore the child’s sense of self awareness, self-worth, create safe and supportive environment, stabilisation, help the child to process the trauma and reach re-integration,” says Pooja.
Over the past eight years, Arpan has reached out to over 22,000 children and adults directly through its training and capacity building programmes.
An anecdote narrated by a parent illustrates the effectiveness of Arpan’s efforts. “When an uncle tried to kiss my child who has borderline mental retardation, the child categorically said: ‘NO, do not kiss me. I will not allow’… I did not think the child would understand, you trained us and her takeaway is so high that now I am confident that she will be able to protect herself.” The child is just under four years old. Donations can be made in the name of Arpan by demand draft or cheque, payable in Mumbai. Donors will receive a receipt as well as the 80G certificate for income-tax exemption.
### Data records, kept here for reference
........
{"formula": "C32H94N8O11", "method": "wB97M-V/def2-TZVPD", "elements": ["C", "O", "C", "C", "C", "N", "H", "H", "H", "H", "H", "H", "H", "H", "H", "H", "H", "C", "O", "C", "C", "C", "N", "H", "H", "H", "H", "H", "H", "H", "H", "H", "H", "H", "C", "O", "C", "C", "C", "N", "H", "H", "H", "H", "H", "H", "H", "H", "H", "H", "H", "C", "O", "C", "C", "C", "N", "H", "H", "H", "H", "H", "H", "H", "H", "H", "H", "H", "C", "O", "C", "C", "C", "N", "H", "H", "H", "H", "H", "H", "H", "H", "H", "H", "H", "C", "O", "C", "C", "C", "N", "H", "H", "H", "H", "H", "H", "H", "H", "H", "H", "H", "C", "O", "C", "C", "C", "N", "H", "H", "H", "H", "H", "H", "H", "H", "H", "H", "H", "C", "O", "C", "C", "C", "N", "H", "H", "H", "H", "H", "H", "H", "H", "H", "H", "H", "O", "H", "H", "O", "H", "H", "O", "H", "H"], "positions_angstrom": [[-2.81, 4.55, 2.24], [-1.79, 5.56, 2.49], [-0.62, 5.13, 1.89], [0.59, 5.91, 2.38], [0.64, 7.30, 1.82], [1.85, 5.17, 1.93], [-3.61, 4.77, 3.01], [-2.45, 3.53, 2.34], [-3.05, 4.71, 1.16], [-0.47, 4.08, 2.20], [-0.60, 5.24, 0.77], [0.57, 6.00, 3.48], [1.41, 7.92, 2.31], [-0.30, 7.82, 1.93], [0.88, 7.37, 0.73], [2.58, 5.87, 1.78], [2.11, 4.50, 2.75], [-6.47, 0.61, 1.11], [-5.89, 1.05, -0.09], [-6.65, 2.13, -0.66], [-6.22, 2.46, -2.13], [-7.14, 3.63, -2.62], [-6.44, 1.37, -2.99], [-5.96, -0.27, 1.53], [-7.51, 0.29, 0.97], [-6.50, 1.37, 1.86], [-7.71, 1.88, -0.63], [-6.55, 3.03, -0.02], [-5.16, 2.84, -2.29], [-7.99, 3.13, -3.06], [-6.73, 4.43, -3.20], [-7.57, 4.20, -1.78], [-6.29, 1.73, -3.88], [-5.82, 0.61, -2.69], [5.23, -5.21, -1.05], [4.79, -4.04, -0.46], [3.77, -4.25, 0.54], [3.31, -2.97, 1.29], [2.77, -1.93, 0.33], [4.34, -2.43, 2.14], [4.32, -5.62, -1.53], [5.85, -5.92, -0.44], [5.91, -5.01, -1.87], [2.87, -4.56, 0.02], [3.98, -5.00, 1.29], [2.46, -3.33, 1.89], [2.26, -1.11, 0.78], [2.18, -2.40, -0.40], [3.65, -1.44, -0.11], [4.78, -3.17, 2.75], [5.11, -2.11, 1.52], [-0.41, -4.75, 1.19], [0.31, -5.89, 0.69], [0.16, -6.06, -0.73], [1.03, -7.29, -1.16], [0.91, -7.48, -2.72], [0.74, -8.50, -0.44], [-0.11, -3.86, 0.65], [-0.29, -4.84, 2.26], [-1.47, -4.99, 0.96], [-0.89, -6.32, -0.83], [0.52, -5.20, -1.34], [2.06, -6.98, -0.99], [1.72, -8.19, -3.04], [1.01, -6.46, -3.21], [-0.08, -7.83, -3.06], [0.85, -8.40, 0.56], [1.40, -9.34, -0.68], [-0.76, 2.51, -4.70], [0.55, 2.93, -4.47], [1.22, 1.95, -3.64], [2.72, 2.37, -3.52], [3.40, 1.21, -2.84], [2.87, 3.62, -2.75], [-1.24, 3.35, -5.14], [-1.32, 2.22, -3.77], [-0.90, 1.62, -5.36], [0.71, 1.85, -2.73], [1.30, 1.04, -4.22], [3.16, 2.44, -4.56], [4.37, 1.48, -2.53], [3.57, 0.34, -3.52], [2.91, 0.99, -1.86], [3.81, 3.97, -2.64], [2.36, 4.36, -3.25], [0.52, 2.57, 5.03], [1.35, 2.46, 3.85], [1.83, 1.16, 3.76], [2.99, 1.12, 2.84], [4.23, 1.80, 3.39], [2.51, 1.49, 1.51], [1.02, 2.27, 5.97], [-0.47, 2.08, 4.95], [0.25, 3.59, 5.16], [2.13, 0.84, 4.75], [1.12, 0.49, 3.33], [3.36, 0.07, 2.87], [4.05, 2.85, 3.57], [5.13, 1.80, 2.75], [4.45, 1.34, 4.36], [3.37, 1.50, 0.89], [2.12, 2.45, 1.43], [-0.02, -2.15, 4.97], [-0.79, -1.18, 4.20], [-0.60, -1.22, 2.75], [-1.10, 0.19, 2.19], [-2.55, 0.19, 1.92], [-0.46, 0.73, 0.97], [1.08, -2.18, 4.69], [-0.38, -3.20, 4.86], [-0.11, -1.86, 6.00], [0.50, -1.33, 2.53], [-1.08, -2.05, 2.23], [-0.89, 0.94, 2.95], [-2.78, -0.55, 1.18], [-2.85, 1.17, 1.54], [-3.16, -0.06, 2.78], [-0.53, 0.09, 0.17], [0.55, 0.93, 1.09], [2.38, -3.07, -3.10], [1.13, -3.21, -2.51], [0.38, -2.00, -2.29], [-1.14, -2.31, -2.54], [-1.54, -2.03, -3.99], [-2.04, -1.75, -1.57], [2.60, -4.02, -3.61], [3.20, -2.85, -2.47], [2.48, -2.26, -3.82], [0.40, -1.61, -1.19], [0.74, -1.23, -2.94], [-1.13, -3.38, -2.33], [-1.70, -0.93, -4.02], [-2.52, -2.46, -4.10], [-0.84, -2.22, -4.77], [-3.03, -2.08, -1.71], [-2.02, -0.71, -1.58], [-1.22, 2.73, -1.05], [-0.48, 3.30, -0.93], [-1.24, 2.14, -0.29], [1.15, 4.25, -0.59], [1.50, 4.64, 0.24], [1.96, 3.98, -1.06], [-3.05, 0.91, -1.12], [-3.90, 0.71, -0.74], [-2.93, 1.87, -1.23]], "spin_multiplicity": 1, "total_energy_ha": -2541.078035, "relative_energy_kcal_mol": 13.68, "homo_energy_ev": -8.78, "e_lumo_ev": 0.627, "homo_lumo_gap_ev": 9.41, "smiles": "COC[C@H](C)N.COC[C@H](C)N.COC[C@H](C)N.COC[C@H](C)N.COC[C@H](C)N.COC[C@H](C)N.COC[C@H](C)N.COC[C@H](C)N.O.O.O"}
........
### Back to the page
Source : Money Life